

~~~
# SmCu2Ge2 | the Alexandria database | PBE | optimized geometry
# VASP energy = -49.6 eV per cell
# Energy of formation = -534 meV/atom
data_SmCu2Ge2
_space_group_name_H-M_alt 'C 1 2/m 1'
_space_group_IT_number 12
_space_group_name_Hall '-C 2y'
_cell_length_a 5.829
_cell_length_b 5.833
_cell_length_c 5.897
_cell_angle_alpha 90.00
_cell_angle_beta 119.32
_cell_angle_gamma 90.00
loop_
_atom_site_label
_atom_site_type_symbol
_atom_site_fract_x
_atom_site_fract_y
_atom_site_fract_z
_atom_site_occupancy
Sm1 Sm 0.000 0.000 0.000 1
Cu1 Cu 0.000 0.248 0.500 1
Ge1 Ge 0.121 0.500 0.244 1

***

# Sm2Cu3Ge | the Alexandria database | PBE | optimized geometry
# VASP energy = -230.7 eV per cell
# Excess energy over the best structure of this formula in the dataset = 0.000 eV/atom
# Energy of formation = -415 meV/atom
data_Sm2Cu3Ge
_space_group_name_H-M_alt 'F m m m'
_space_group_IT_number 69
_space_group_name_Hall '-F 2 2'
_cell_length_a 7.484
_cell_length_b 8.600
_cell_length_c 14.882
_cell_angle_alpha 90.00
_cell_angle_beta 90.00
_cell_angle_gamma 90.00
loop_
_atom_site_label
_atom_site_type_symbol
_atom_site_fract_x
_atom_site_fract_y
_atom_site_fract_z
_atom_site_occupancy
Sm1 Sm 0.239 0.000 0.000 1
Sm2 Sm 0.250 0.250 0.250 1
Cu1 Cu 0.000 0.000 0.168 1
Cu2 Cu 0.000 0.249 0.417 1
Ge1 Ge 0.000 0.000 0.335 1

***

# Sm4CuGe8 | the Alexandria database | PBE | optimized geometry
# VASP energy = -67.8 eV per cell
# Energy of formation = -608 meV/atom
data_Sm4CuGe8
_space_group_name_H-M_alt 'P m m 2'
_space_group_IT_number 25
_space_group_name_Hall 'P 2 -2'
_cell_length_a 4.017
_cell_length_b 4.137
_cell_length_c 16.948
_cell_angle_alpha 90.00
_cell_angle_beta 90.00
_cell_angle_gamma 90.00
loop_
_atom_site_label
_atom_site_type_symbol
_atom_site_fract_x
_atom_site_fract_y
_atom_site_fract_z
_atom_site_occupancy
Sm1 Sm 0.000 0.000 0.000 1
Sm2 Sm 0.000 0.500 0.492 1
Sm3 Sm 0.500 0.000 0.790 1
Sm4 Sm 0.500 0.500 0.284 1
Cu1 Cu 0.000 0.500 0.714 1
Ge1 Ge 0.000 0.000 0.338 1
Ge2 Ge 0.000 0.000 0.631 1
Ge3 Ge 0.000 0.500 0.139 1
Ge4 Ge 0.000 0.500 0.855 1
Ge5 Ge 0.500 0.000 0.145 1
Ge6 Ge 0.500 0.000 0.433 1
Ge7 Ge 0.500 0.500 0.631 1
Ge8 Ge 0.500 0.500 0.948 1


1.
ScPt2W (PBE, optimized geometry); space group = Cm (8); ΔE_f = -0.52 eV per atom; V = 67 Å³ per cell
1.0
4.938 0.003 -0.003
4.117 2.727 -0.003
0.668 0.201 4.947
Pt Sc W
2 1 1
Cartesian
9.066 2.733 0.191
7.277 2.194 3.563
4.844 1.460 2.652
2.454 0.740 1.001

2.
ScPt2W (PBE, optimized geometry); space group = C2/m (12); ΔE_f = -0.27 eV per atom; V = 67 Å³ per cell
1.0
4.875 -0.002 0.010
4.049 2.715 0.010
0.795 0.242 5.046
Pt Sc W
2 1 1
Cartesian
8.893 2.703 0.076
4.891 1.487 2.477
7.290 2.216 3.799
2.430 0.739 1.266

3.
ScPt3W (PBE, optimized geometry); space group = Pm-3m (221); energy above the lowest structure with this stoichiometry = 0.0000 eV/atom; ΔE_f = 0.48 eV per atom; V = 114 Å³ per cell
1.0
4.846 0.000 0.000
0.000 4.846 0.000
0.000 0.000 4.846
Sc W Pt
1 1 3
Cartesian
2.423 2.423 2.423
~~~

Research on Membrane Electrode Assembly of Proton Exchange Membrane Fuel Cell

【作者】 张学伟

Records of crystals that have nothing to do with the text:
<<<
A plane-wave DFT calculation with PBE with a Hubbard U was carried out for a geometry-optimized KTl2Ni2F7 structure.

Geometry as CIF:
```
data_KTl2Ni2F7
_cell_length_a 4.094
_cell_length_b 4.094
_cell_length_c 22.418
_cell_angle_alpha 90.00
_cell_angle_beta 90.00
_cell_angle_gamma 90.00
_symmetry_space_group_name_H-M 'I 4/m m m'
_symmetry_Int_Tables_number 139
_symmetry_space_group_name_Hall '-I 4 2'
loop_
_atom_site_label
_atom_site_fract_x
_atom_site_fract_y
_atom_site_fract_z
K1 0.000 0.000 0.000
Tl1 0.000 0.000 0.185
Ni1 0.000 0.000 0.409
F1 0.000 0.000 0.319
F2 0.000 0.000 0.500
F3 0.000 0.500 0.090
```

## Properties
raw total energy	-4.18	eV/atom
ρ	6.17	g/cm³

----------

No. 1
The following is a DFT calculation (PBE) of a geometry-optimized CdTcAg2 structure.

The structure in CIF format:
```
data_CdTcAg2
_symmetry_space_group_name_H-M 'P m m m'
_symmetry_Int_Tables_number 47
_cell_length_a 2.764
_cell_length_b 4.324
_cell_length_c 5.856
_cell_angle_alpha 90.00
_cell_angle_beta 90.00
_cell_angle_gamma 90.00
loop_
_symmetry_equiv_pos_as_xyz
'x,y,z'
'-x,-y,-z'
'-x,-y,z'
'x,y,-z'
'x,-y,-z'
'-x,y,z'
'-x,y,-z'
'x,-y,z'
loop_
_atom_site_label
_atom_site_type_symbol
_atom_site_fract_x
_atom_site_fract_y
_atom_site_fract_z
_atom_site_occupancy
Cd1 Cd 0.000 0.000 0.000 1
Tc1 Tc 0.000 0.000 0.500 1
Ag1 Ag 0.500 0.500 0.261 1
```

Calculated values
E_form: 0.432 eV per atom
VASP energy: -3.814 eV per atom
Crystal system: orthorhombic
Size of the total moment: 0.178 μB per atom

=====

No. 2
The following is a DFT calculation (PBE) of a geometry-optimized YGa2Cu3 structure.

The structure in CIF format:
```
data_YGa2Cu3
_symmetry_space_group_name_H-M 'C 1 2/m 1'
_symmetry_Int_Tables_number 12
_cell_length_a 15.961
_cell_length_b 4.005
_cell_length_c 9.637
_cell_angle_alpha 90.00
_cell_angle_beta 105.68
_cell_angle_gamma 90.00
loop_
_symmetry_equiv_pos_as_xyz
'x,y,z'
'-x,-y,-z'
'-x,y,-z'
'x,-y,z'
'x+1/2,y+1/2,z'
'-x+1/2,-y+1/2,-z'
'-x+1/2,y+1/2,-z'
'x+1/2,-y+1/2,z'
loop_
_atom_site_label
_atom_site_type_symbol
_atom_site_fract_x
_atom_site_fract_y
_atom_site_fract_z
_atom_site_occupancy
Y1 Y 0.000 0.000 0.000 1
Y2 Y 0.156 0.000 0.710 1
Ga1 Ga 0.017 0.500 0.765 1
Ga2 Ga 0.151 0.500 0.465 1
Ga3 Ga 0.207 0.000 0.097 1
Cu1 Cu 0.000 0.500 0.500 1
Cu2 Cu 0.051 0.000 0.371 1
Cu3 Cu 0.133 0.500 0.198 1
Cu4 Cu 0.149 0.500 0.953 1
Cu5 Cu 0.207 0.000 0.357 1
```

Calculated values
E_form: -0.347 eV per atom
VASP energy: -4.481 eV per atom
Crystal system: monoclinic
Size of the total moment: 0.000 μB per atom

=====

No. 3
The following is a DFT calculation (PBE) of a geometry-optimized AlAgI2 structure.

The structure in CIF format:
```
data_AlAgI2
_symmetry_space_group_name_H-M 'I -4 2 d'
_symmetry_Int_Tables_number 122
_symmetry_space_group_name_Hall 'I -4 2bw'
_cell_length_a 8.011
_cell_length_b 8.011
_cell_length_c 9.115
_cell_angle_alpha 90.00
_cell_angle_beta 90.00
_cell_angle_gamma 90.00
loop_
_atom_site_label
_atom_site_type_symbol
_atom_site_fract_x
>>>

【导师】 史鹏飞;

【作者基本信息】 哈尔滨工业大学 , 应用化学, 2007, 博士

【摘要】 质子交换膜燃料电池采用贵金属铂作催化剂,高昂的成本限制了它的产业化应用。本文以质子交换膜燃料电池的核心组件——膜电极作为研究对象,研究了燃料电池单体制备、操作过程等影响因素。通过对膜电极的三个主要组成部分:质子交换膜、气体扩散层和催化层的深入研究,提出了双催化层结构的电极,降低了贵金属铂的用量,同时提高了燃料电池的性能。膜电极的电化学性能采用极化曲线进行了表征,并采用非线性最小二乘法对部分数据进行拟合及分析;操作条件及材料对膜电极性能的影响采用交流阻抗谱表征,并对实验数据进行拟合及分析,实验研究了采用PTFE和Nafion作为粘结剂的催化层性能,并用扫描电镜观察膜电极(包括支撑层、微多孔层和催化层)的微观形貌并进行分析。对膜电极的制备及操作过程条件进行了研究。研究表明,在130℃和8MPa的条件下,热压120s后得到的膜电极内阻降低到0.4??cm-2。单体运行的装配力矩在3N?m为宜。在1atm下和运行温度低于65℃时,反应气体利用率随流量的增加而降低,随温度升高而升高;运行温度超过65℃时,氧气的利用率降低。考虑温度与电池内阻的关系,电池操作温度选择65℃为宜。膜电极在常压下的活化时,温度为50℃时采用变电流活化,活化10h后的性能稳定。对膜的组件的三个组成部分进行研究表明:质子交换膜厚度越薄,反应过程中产生质子经过膜的传递阻力越小。在实验温度范围内,不同厚度膜制备的膜电极质子传递能力,都随温度升高而提高。气体扩散层包括支撑层和微多孔层,支撑层厚度降低有利于气体传质。微多孔层采用碳材料XC-72和20wt.%的PTFE的混合物,其载量为2mg·cm-2时,膜电极性能达到0.35W·cm-2。当微多孔层的碳材料采用炭黑XC-72时,气体传质阻力小,在电化学极化区性能较好;采用炭黑BP2000时,液体传质阻力小,在浓差极化区性能较好;两种炭黑混合制备气体扩散层,由于大孔和小孔数目的减少,膜电极性能下降。催化层的制备过程中,喷涂法制备催化层的性能好于丝网印刷。当憎水电极的催化层PTFE含量为25wt.%,Nafion溶液的载量为1.5mg·cm-2时,制备膜电极的性能最好。当亲水型电极的催化层Nafion含量为30wt.%、催化剂载量为0.2mg·cm-2的膜电极性能达到0.5W·cm-2。催化层只采用PTFE或者Nafion粘合剂,催化层内存在反应活性层和非反应活性层,电化学反应由活性层向非活性层梯度递减。提出一种双催化层电极结构,包含内外两个催化层。内催化层是亲水结构,采用Nafion作为粘结剂;外催化层是憎水结构,采用PTFE作为催化剂。内外两催化层的交接处在热压过程中形成一个过渡层,反应集中在过渡层内发生。外催化层中PTFE和内催化层Nafion形成相反的梯度分布,有利于反应进行。铂载量均为0.3mg·cm-2时,电流密度1A·cm-2时,双催化层电极性能比憎水电极和亲水电极分别提高了37.2%和20.4%。采用两组铂载量为0.2mg·cm-2双催化层电极,考察Nafion分布的对膜电极性能影响。提高内催化层的Nafion含量,质子传递阻力降低,膜电极在浓差扩散阶段的性能提高;将内外催化层中间的再铸膜含量降低后,膜电极性能由0.64W·cm-2提高到0.77W·cm-2。在双催化层内外层催化剂载总量相同,改变内外催化层中催化剂的分布比例,得到阴极反应中质子传质阻力要大于气体传质,是氧还原反应的控制步骤。本研究将氢氧燃料电池的催化剂铂载量下降到0.2mg·cm-2,膜电极的峰值功率提高到0.7W·cm-2,在降低膜电极制造成本的同时提高了膜电极性能。

【Abstract】 The proton exchanged membrane fuel cell (PEMFC) adopts platinum as catalyst, which restricts its commertialization due to high price. In this paper, membrane electrode assembly (MEA), a key component of fuel cell, was investigated on fabrication of electrode and operation. Farther research has been done on MEA, including membrane, gas diffusion layer and catalyst layer. Based on work above, a noval structure of dual-bonded catalyst layer electrode was introduced to enhance the cell performance with low Pt loading.Polarization curve was introduced to characterize the cell performance and data was used to fit by non-linear least square. AC impedance was also used to study the effect of opertation conditions on performance of cell. Scanning electron microscope graphs were adapted to investigate MEA, including substrate, gas diffusion layer and catalyst layer.Preparation and operation condition of MEA were studied. Resistance of MEA reduced to 40??cm-2 when it was hot-pressed at 130℃under 8MPa for 120 seconds. Torque of fixture was matained 3N?m for cell assemblage. Utilization of reactant gas was increased with temperature and decreased with increasing flow rate under 1atm when temperature was less than 65℃. Utilization of oxygen was reduced when temperature was more than 65℃.Operation temperature of cell should be chosed as 65℃with lowest resistance. Investigating MEA’s activation at ambient pressure, cell showed stable performance when actived with varied current at 50℃after 10h.Three part of MEA were investigated and found that high protonic conductivity was conrresponding to thinner membrane. Protonic conductivity of different membrane was increased with high temperature. Gas diffusion layer was comprised of substrate and micro-pouose layer. Thinner substrate was favorable for gas transport. Micro-porous layer of electrode with 2mg·cm-2 cabon black XC-72 containing 20wt.% PTFE provided 0.35W·cm-2. Micro-porous laye formed by XC-72 was favorable for gas transport and showed a better performance in active rigion, whilst it formed by BP2000 was advantage in water drainage and showed a better performance in concertration polarization. Cell performance was poor when two types of carbon mixed to make micro-porous laye because incrased of mass transport resistance. Spray was a better choice to make catalyst layer than print. Hydrophobic catalyst layer containing 35wt.% PTFE and 1.5mg·cm-2 Nafion showed high performance. Hydrophilic catalyst layer containing 30wt.% Nafion and 0.2mg·cm-2 Pt loading showed performance of 0.5W·cm-2. There exsit active layer and inactive layer when PTFE or Nafion was chosed as bonded material for catalyst layer. Electrochemical reaction was decreased from active layer to inactive layer.The dual-bonded catalyst layer with inner and outer catalsty layer was designed. Inner catalyst layer was hydrophilic and bonded with Nafion. Outer catalyst layer was hydrophilic and bonded with PTFE. A transition layer formed when two catalyst layers was hot-pressed that main reaction occurs. PTFE of out layer and Nafion of inner layer were distributing in grads for reaction. When electrode with 0.3mg·cm-2 Pt loadings at 1A·cm-2, it was calculated that performance of cathode with dual-bonded catalyst layer offers 37.2% higher than that of hydrophobic cathode and 20.4% higher than that of hydrophilic catalyst layer. Two groups of dual-bonded electrode with 0.3mg·cm-2 Pt loadings were fabricated to investigate Nafion effect on cell performance. Peak power density of electrodes increased from 0.64W·cm-2 to 0.77W·cm-2 at ambient pressure as recast film decrase. The prtonic conductivity affected more on reaction than that of mass transfer when adjust ratio of catalyst layer.Catalyst layer was decreased to below 0.2mg·cm-2 Pt loading and the cell performance was increased to above 0.7W·cm-2 when operated in hydrogen and oxygen. Cell performance was increased whilst cost of MEA was reduced.

Inserted here: materials data =
- - -
# 1
Hf2ThSc3: relaxed, PBE-GGA.

Unit cell a=8.6930 b=8.6930 c=6.2586 alpha=90.00 beta=90.00 gamma=39.81
With the nearest neighbours (Å) after each atom.
Element x y z (fractional)
Hf1 0.1435 0.1435 0.0000  6 Sc 2.97-3.15, 2 Hf 3.13
Hf2 0.1435 0.1435 0.5000  6 Sc 2.97-3.15, 2 Hf 3.13
Hf3 0.8565 0.8565 0.0000  6 Sc 2.97-3.15, 2 Hf 3.13
Hf4 0.8565 0.8565 0.5000  6 Sc 2.97-3.15, 2 Hf 3.13
Th1 0.3641 0.6359 0.7500  2 Sc 2.85-3.07
Th2 0.6359 0.3641 0.2500  2 Sc 2.85-3.07
Sc1 0.1549 0.8451 0.2500  2 Th 2.85-3.07, 4 Hf 2.97
Sc2 0.2446 0.3654 0.2500  4 Hf 3.09-3.15, 2 Sc 3.21, 1 Th 3.39
Sc3 0.3654 0.2446 0.7500  4 Hf 3.09-3.15, 2 Sc 3.21, 1 Th 3.39
Sc4 0.6346 0.7554 0.2500  4 Hf 3.09-3.15, 2 Sc 3.21, 1 Th 3.39
Sc5 0.7554 0.6346 0.7500  4 Hf 3.09-3.15, 2 Sc 3.21, 1 Th 3.39
Sc6 0.8451 0.1549 0.7500  2 Th 2.85-3.07, 4 Hf 2.97

Fermi-level density of states: 8.88 states/eV/f.u.
calculated volume: 25.23 Å³/atom
E_form: 0.23 eV/atom

# 2
TePd2Au: relaxed, PBE-GGA.

Unit cell a=3.4477 b=3.4477 c=22.8548 alpha=90.00 beta=90.00 gamma=120.00
With the nearest neighbours (Å) after each atom.
Element x y z (fractional)
Te1 0.0000 0.0000 0.0000  6 Pd 2.72-2.74
Te2 0.3333 0.6667 0.6667  6 Pd 2.72-2.74
Te3 0.6667 0.3333 0.3333  6 Pd 2.72-2.74
Pd1 0.0000 0.0000 0.4155  3 Te 2.74, 3 Au 2.79
Pd2 0.0000 0.0000 0.5855  3 Te 2.72, 3 Au 2.77
Pd3 0.3333 0.6667 0.0821  3 Te 2.74, 3 Au 2.79
Pd4 0.3333 0.6667 0.2522  3 Te 2.72, 3 Au 2.77
Pd5 0.6667 0.3333 0.7488  3 Te 2.74, 3 Au 2.79
Pd6 0.6667 0.3333 0.9188  3 Te 2.72, 3 Au 2.77
Au1 0.0000 0.0000 0.1678  6 Pd 2.77-2.79
Au2 0.3333 0.6667 0.8345  6 Pd 2.77-2.79
Au3 0.6667 0.3333 0.5011  6 Pd 2.77-2.79

energy relative to the elements, uncorrected: -7 kJ/mol of atoms
Fermi-level density of states: 1.55 states/eV/f.u.
calculated volume: 19.61 Å³/atom

# 3
SrMg2Ag9: relaxed, PBE-GGA.

Unit cell a=9.6317 b=9.6317 c=9.6317 alpha=34.30 beta=34.30 gamma=34.30
With the nearest neighbours (Å) after each atom.
Element x y z (fractional)
Sr1 0.0000 0.0000 0.0000  6 Ag 3.28
Mg1 0.1482 0.1482 0.1482  12 Ag 3.12-3.32, 3 Mg 3.43
Mg2 0.8518 0.8518 0.8518  12 Ag 3.12-3.32, 3 Mg 3.43
Ag1 0.0811 0.5899 0.5899  7 Ag 2.73-2.89
Ag2 0.3338 0.3338 0.3338  6 Ag 2.87-2.88
Ag3 0.4101 0.4101 0.9189  7 Ag 2.73-2.89
Ag4 0.4101 0.9189 0.4101  7 Ag 2.73-2.89
Ag5 0.5000 0.5000 0.5000  6 Ag 2.73
Ag6 0.5899 0.0811 0.5899  7 Ag 2.73-2.89
Ag7 0.5899 0.5899 0.0811  7 Ag 2.73-2.89
Ag8 0.6662 0.6662 0.6662  6 Ag 2.87-2.88
Ag9 0.9189 0.4101 0.4101  7 Ag 2.73-2.89

Fermi-level density of states: 4.84 states/eV/f.u.
calculated volume: 21.08 Å³/atom
E_form: -0.12 eV/atom
energy above the lowest structure with this stoichiometry: 33 meV/atom

# 4
NpTiAl: relaxed, PBE-GGA.

Unit cell a=9.6570 b=3.6421 c=6.4169 alpha=90.00 beta=106.88 gamma=90.00
With the nearest neighbours (Å) after each atom.
Element x y z (fractional)
Np1 0.1859 0.0000 0.0562  2 Np 2.43
Np2 0.3141 0.5000 0.9438  2 Np 2.43
Np3 0.6859 0.5000 0.0562  2 Np 2.43
Np4 0.8141 0.0000 0.9438  2 Np 2.43
- - -

  • 【分类号】TM911.48
  • 【被引频次】10
  • 【下载频次】1627
  • 攻读期成果